Work out how many lines further below have the word "an" in them; a number is enough.

(1)
16
Properties=species:S:1:pos:R:3:nbo_charge:R:1 method="wB97M-V/def2-TZVPD" gap_ev=11.555 e_homo_ev=-10.732 e_above_lowest_kcal_mol=28.0 e_lumo_ha=0.0302 smiles=C[C@H](C#N)CCO
C -2.120 -0.359 -0.083 -0.594
C -0.575 -0.503 -0.067 -0.336
C 0.179 0.825 -0.268 -0.396
C 1.683 0.698 -0.080 -0.066
O 2.170 -0.218 -1.043 -0.728
C -0.274 -1.106 1.241 0.291
N -0.218 -1.560 2.304 -0.345
H -2.420 0.687 -0.193 0.214
H -2.522 -0.722 0.866 0.232
H -2.580 -0.947 -0.881 0.221
H -0.236 -1.195 -0.847 0.259
H -0.023 1.187 -1.283 0.219
H -0.205 1.576 0.433 0.215
H 1.892 0.349 0.944 0.172
H 2.153 1.688 -0.197 0.168
H 3.095 -0.401 -0.843 0.475

(2)
13
Properties=species:S:1:pos:R:3:nbo_charge:R:1 method="wB97M-V/def2-TZVPD" gap_ev=10.420 e_homo_ev=-9.639 e_above_lowest_kcal_mol=74.9 e_lumo_ha=0.0287
O 2.283 1.385 -1.466 -0.503
C 1.869 0.891 -0.446 0.423
C 0.796 -0.171 -0.423 -0.019
O 0.707 -0.819 0.843 -0.509
C -0.692 -0.981 0.687 0.112
C -1.487 0.264 0.682 -0.449
C -0.714 -0.025 -0.564 -0.254
H 2.318 1.107 0.545 0.120
H 1.041 -0.896 -1.212 0.201
H -1.057 -1.930 1.082 0.209
H -2.518 -0.041 0.480 0.222
H -1.400 1.116 1.346 0.213
H -1.146 0.100 -1.554 0.233

(3)
23
Properties=species:S:1:pos:R:3:nbo_charge:R:1 method="wB97M-V/def2-TZVPD" gap_ev=8.554 e_homo_ev=-8.197 e_above_lowest_kcal_mol=23.4 e_lumo_ha=0.0131 smiles="C=C(C)N.O.O.O.O"
C -1.194 2.458 1.362 -0.667
C -0.437 1.186 1.493 0.209
C 0.764 0.976 2.043 -0.586
N -1.226 0.088 1.145 -0.825
H -0.534 3.285 1.659 0.223
H -2.039 2.561 2.047 0.226
H -1.553 2.757 0.378 0.226
H 1.079 -0.055 2.176 0.191
H 1.472 1.656 2.490 0.212
H -2.222 0.175 1.171 0.390
H -0.791 -0.813 1.092 0.405
H 0.459 -3.927 -1.815 0.478
H 1.349 -3.070 -0.949 0.478
O 0.653 -3.736 -0.887 -0.935
H -0.890 -2.653 -0.941 0.485
H -1.341 -1.275 -1.421 0.466
O -1.575 -1.975 -0.811 -0.971
H 0.930 -0.050 -2.383 0.498
H -0.561 0.189 -2.755 0.464
O 0.238 -0.263 -3.022 -0.964
H 1.929 1.192 -0.247 0.492
H 3.148 0.429 -0.764 0.474
O 2.343 0.866 -1.060 -0.968

Please write out number 1 again, unchanged.
16
Properties=species:S:1:pos:R:3:nbo_charge:R:1 method="wB97M-V/def2-TZVPD" gap_ev=11.555 e_homo_ev=-10.732 e_above_lowest_kcal_mol=28.0 e_lumo_ha=0.0302 smiles=C[C@H](C#N)CCO
C -2.120 -0.359 -0.083 -0.594
C -0.575 -0.503 -0.067 -0.336
C 0.179 0.825 -0.268 -0.396
C 1.683 0.698 -0.080 -0.066
O 2.170 -0.218 -1.043 -0.728
C -0.274 -1.106 1.241 0.291
N -0.218 -1.560 2.304 -0.345
H -2.420 0.687 -0.193 0.214
H -2.522 -0.722 0.866 0.232
H -2.580 -0.947 -0.881 0.221
H -0.236 -1.195 -0.847 0.259
H -0.023 1.187 -1.283 0.219
H -0.205 1.576 0.433 0.215
H 1.892 0.349 0.944 0.172
H 2.153 1.688 -0.197 0.168
H 3.095 -0.401 -0.843 0.475

* * * * *

ORCA calculation (ωB97M-V with the def2-TZVPD basis set) on C33H33F6FeN7O4PSSi as an isolated structure.

```
! wB97M-V def2-TZVPD RIJCOSX def2/J DEFGRID3
* xyz 1 5
O 2.3462 -6.1857 3.4235
N -2.3962 1.0825 4.0652
C -2.0761 -0.1892 3.9450
F -2.4134 -0.9412 -1.0400
H 4.6387 -0.7368 -2.7943
C 1.3261 2.4844 -0.3745
H 3.3085 -1.4363 -0.7527
C -0.4403 6.7936 0.9849
C 0.6860 6.0308 0.6803
N 2.3542 0.3759 -0.6250
C -1.8665 1.9457 3.2237
C 0.0386 -0.1322 -1.9135
H -1.4071 6.3352 1.1074
C 1.2768 -1.9703 4.3028
H 2.7099 1.0430 3.6175
H 0.7276 -4.0514 4.3586
H -1.8115 0.6035 -6.6346
H -0.8152 -5.2077 0.3563
C 2.9060 -2.6730 2.1767
H -1.0043 -1.6734 2.7716
C 1.0037 -4.3364 -0.4424
C 1.9222 8.0787 0.6188
H -1.8541 1.6653 -5.2341
N -0.6992 0.2336 2.0735
C -0.1958 3.8356 1.4566
F -4.3849 1.4203 0.0194
H -0.7444 4.3415 2.2328
H 2.0493 -4.4873 -0.1568
H -0.5671 -2.4708 -5.3053
H 2.7971 2.9157 -2.7816
C 2.8660 -1.3591 2.6109
C 2.0572 -0.9970 3.6814
C 0.2614 -1.8286 -5.5854
C 0.8476 -2.8671 -0.8301
F -4.6800 -0.8087 -0.5676
F -3.6998 0.6799 -2.0560
C 1.3777 3.8734 -0.3567
H 3.4918 -0.6187 2.1354
H 1.0521 0.8285 4.1839
H 0.6644 -1.6997 5.1508
H 2.3386 0.8284 -5.1614
C 3.2005 -0.4565 -1.1913
H 2.3909 0.4190 5.2352
F -2.1289 1.2759 -0.4894
C 0.0536 -0.0250 -3.1228
C 2.9272 1.9623 -2.2894
H -2.5112 -0.8696 4.6625
N 0.8466 8.7813 0.9048

1